Contents
Entry 1:
# PBE Rb2Ge2SbAu6, optimized geometry
data_Rb2Ge2SbAu6
_chemical_formula_sum 'Rb6 Ge6 Sb3 Au18'
_space_group_name_H-M_alt 'R -3 m'
_space_group_IT_number 166
_space_group_name_Hall '-R 3 2"'
_cell_length_a 6.8915
_cell_length_b 6.8915
_cell_length_c 26.5583
_cell_angle_alpha 90.00
_cell_angle_beta 90.00
_cell_angle_gamma 120.00
loop_
_atom_site_label
_atom_site_type_symbol
_atom_site_fract_x
_atom_site_fract_y
_atom_site_fract_z
Rb1 Rb 0.0000 0.0000 0.2096
Ge1 Ge 0.0000 0.0000 0.4531
Sb1 Sb 0.0000 0.0000 0.0000
Au1 Au 0.0386 0.5193 0.7458
# - E: -3.309 eV per atom
# - Formation energy without anion corrections: -140 kJ/mol of formula units

***

Entry 2:
# PBE PuPa2CuN4, optimized geometry
data_PuPa2CuN4
_chemical_formula_sum 'Pu4 Pa8 Cu4 N16'
_space_group_name_H-M_alt 'C m c m'
_space_group_IT_number 63
_space_group_name_Hall '-C 2c 2'
_cell_length_a 3.534
_cell_length_b 11.482
_cell_length_c 11.507
_cell_angle_alpha 90.00
_cell_angle_beta 90.00
_cell_angle_gamma 90.00
loop_
_atom_site_label
_atom_site_type_symbol
_atom_site_fract_x
_atom_site_fract_y
_atom_site_fract_z
Pu1 Pu 0.000 0.099 0.250
Pa1 Pa 0.000 0.371 0.059
Cu1 Cu 0.000 0.171 0.750
N1 N 0.000 0.000 0.000
N2 N 0.000 0.266 0.607
N3 N 0.000 0.443 0.250
# - E: -9.971 eV per atom
# - Formation energy without anion corrections: -873 kJ/mol of formula units

***

Entry 3:
# PBE KAlTl, optimized geometry
data_KAlTl
_chemical_formula_sum 'K2 Al2 Tl2'
_space_group_name_H-M_alt 'P 1 21/m 1'
_space_group_IT_number 11
_cell_length_a 4.967
_cell_length_b 4.547
_cell_length_c 8.622
_cell_angle_alpha 90.00
_cell_angle_beta 94.62
_cell_angle_gamma 90.00
loop_
_space_group_symop_operation_xyz
'x,y,z'
'-x,-y,-z'
'-x,y+1/2,-z'
'x,-y+1/2,z'
loop_
_atom_site_label
_atom_site_type_symbol
_atom_site_fract_x
_atom_site_fract_y
_atom_site_fract_z
K1 K 0.235 0.250 0.348
Al1 Al 0.162 0.750 0.010
Tl1 Tl 0.318 0.250 0.810
# - E: -2.387 eV per atom
# - E_form: 0.015 eV/atom
# - Relative energy among the computed polymorphs: 0.0 meV/atom

Wanted
Next, print everything above exactly.

Written answer
Entry 1:
# PBE Rb2Ge2SbAu6, optimized geometry
data_Rb2Ge2SbAu6
_chemical_formula_sum 'Rb6 Ge6 Sb3 Au18'
_space_group_name_H-M_alt 'R -3 m'
_space_group_IT_number 166
_space_group_name_Hall '-R 3 2"'
_cell_length_a 6.8915
_cell_length_b 6.8915
_cell_length_c 26.5583
_cell_angle_alpha 90.00
_cell_angle_beta 90.00
_cell_angle_gamma 120.00
loop_
_atom_site_label
_atom_site_type_symbol
_atom_site_fract_x
_atom_site_fract_y
_atom_site_fract_z
Rb1 Rb 0.0000 0.0000 0.2096
Ge1 Ge 0.0000 0.0000 0.4531
Sb1 Sb 0.0000 0.0000 0.0000
Au1 Au 0.0386 0.5193 0.7458
# - E: -3.309 eV per atom
# - Formation energy without anion corrections: -140 kJ/mol of formula units

***

Entry 2:
# PBE PuPa2CuN4, optimized geometry
data_PuPa2CuN4
_chemical_formula_sum 'Pu4 Pa8 Cu4 N16'
_space_group_name_H-M_alt 'C m c m'
_space_group_IT_number 63
_space_group_name_Hall '-C 2c 2'
_cell_length_a 3.534
_cell_length_b 11.482
_cell_length_c 11.507
_cell_angle_alpha 90.00
_cell_angle_beta 90.00
_cell_angle_gamma 90.00
loop_
_atom_site_label
_atom_site_type_symbol
_atom_site_fract_x
_atom_site_fract_y
_atom_site_fract_z
Pu1 Pu 0.000 0.099 0.250
Pa1 Pa 0.000 0.371 0.059
Cu1 Cu 0.000 0.171 0.750
N1 N 0.000 0.000 0.000
N2 N 0.000 0.266 0.607
N3 N 0.000 0.443 0.250
# - E: -9.971 eV per atom
# - Formation energy without anion corrections: -873 kJ/mol of formula units

***

Entry 3:
# PBE KAlTl, optimized geometry
data_KAlTl
_chemical_formula_sum 'K2 Al2 Tl2'
_space_group_name_H-M_alt 'P 1 21/m 1'
_space_group_IT_number 11
_cell_length_a 4.967
_cell_length_b 4.547
_cell_length_c 8.622
_cell_angle_alpha 90.00
_cell_angle_beta 94.62
_cell_angle_gamma 90.00
loop_
_space_group_symop_operation_xyz
'x,y,z'
'-x,-y,-z'
'-x,y+1/2,-z'
'x,-y+1/2,z'
loop_
_atom_site_label
_atom_site_type_symbol
_atom_site_fract_x
_atom_site_fract_y
_atom_site_fract_z
K1 K 0.235 0.250 0.348
Al1 Al 0.162 0.750 0.010
Tl1 Tl 0.318 0.250 0.810
# - E: -2.387 eV per atom
# - E_form: 0.015 eV/atom
# - Relative energy among the computed polymorphs: 0.0 meV/atom